Prof. Hans-Peter Plag, PhD
Mitigation and Adaptation Research Institute
Old Dominion University
Norfolk, Va.
The leaders of the world are in need of knowing what is happening to the Earth’s life-support system and this knowledge can only come from observations that tell us how this system is changing. Not unlike a doctor, who is in need of laboratory results to come to a diagnosis, our leaders need lab results for “Patient Earth.” Not unlike a pilot in an airplane, our leaders need a cockpit for “Spaceship Earth”1 with all the panels that capture the essential variables de ning the state and trajectory of this planet that we call home.
Already in 2000, I used this analogy2 and concluded that the dashboard available to our leaders was insuf cient with many of the essential variables of the Earth system not captured, including those describing the increasingly dominant anthroposphere with a global complex economy and social structure. Unlike the pilots in a modern airplane, who have a very comprehensive dashboard (Figure 1) informing them in detail about the state and trajectory of the plane, decisions that impact the state and trends of the Earth’s life-support system are informed by rather incomplete and often inaccessible or unusable observations.
Since 1984, the Integrated Global Observing Strategy (IGOS) initiated by the G7 as a framework for Earth Observations was developed with the goal to identify the essential variables that need to be observed in order to document the changes that are happening on the planet. In 1998, the IGOS Partnership (IGOS-P) was established, bringing together major organizations in the scientific and Earth observation fields in an effort to first identify what needs to be monitored and then to implement the corresponding observing systems.
IGOS-P used a well-defined theme approach to de ne the overall strategy, which “recognises that in reality it is impossible, in one step and for all eventualities, to complete the exercise of defining all the necessary observational requirements and hence the observational systems, data handling, processing and analysis infrastructure for a comprehensive global system. The theme approach allows the coherent definition and development of an overall global strategy whilst recognising the different state and stage of development in different areas. Themes have not a priori been de ned; rather it is anticipated that the user communities will identify areas that require action and bring forward themes for agreement and action.”3 The resulting IGOS-P theme reports were excellent outcomes of the rst step de ning observational needs for societally relevant themes, but the implementation of the ndings by the space agencies and other providers did not follow suit.
When the Group on Earth Observations (GEO) was initiated in 2003 (again by the then G8) and fully established in 2005 with a ten-year mandate to build the Global Earth Observation System of Systems (GEOSS)4, I had the hope that now matters would progress towards implementation of the urgently needed cockpit for “Spaceship Earth.” Or, to use the medical analogy, I saw a beginning of building the laboratory needed to assess the health of the Earth’s life-support system, to diagnose the sickness, identify its causes, and develop a therapy.
Unlike IGOS-P, where themes emerged from a community and expert-based approach, the activities of GEO were structured according to nine pre-defined Societal Benefit Areas (SBAs) (Figure 2). This was not unlike the medical lab sheets that are structured according to different medical benefit areas of the data obtained in the laboratory. Although not perfect, the nine SBAs provided a basis for identifying the essential variables in each of these SBAs as guidance for what should be observed.

The original Societal Benefit Areas (SBAs) of Earth observations defined during the Ministerial Earth Observation Summit in 2004 in Tokyo, Japan.
During the first 10 years of GEO, the GEO Work Plans were structured according to the SBAs. In more recent years, additional Societal Benefit Tasks were added to emphasize large areas that the nine SBAs did not sufficiently cover, including those focusing on Oceans and Society: Blue Planet,
Global Land Cover, Global Forest Observation, Global Urban Observation and Information, and Impact Assessment of Human Activities.
However, my initially very high expectation that GEO finally would make signi cant progress towards designing and implementing the dashboard for our leaders was not met: After the first 10 years, only a few of the SBAs and SB tasks, such as Climate, Weather and Oceans, have developed a more or less complete set of essential variables, while others are still far away from even having agreed on what is essential to observe.
In the transition from the first to the second 10-year plan, new people came in and facilitated changes in many aspects of GEO. New SBAs were defined (Figure 3), and they look more like the structuring of medicine than the structuring of the medical lab sheets. It appears that the new structure puts GEO in the position of the doctor, not the technician providing the lab results for all essential variables.
Moreover, the GEO Work Programme for 20165 has very little connection to the new set of SBAs. In fact, a reader would not be able to extract these SBAs from the list of Community Activities, GEO Initiatives, and Foundational Tasks collected in the GEO Work Programme. This disconnect between the declared SBAs and the planned activities in the Work Programme indicates a flaw in the strategy developed by the Implementation Plan Working Group (IPWG), the group that orchestrated the transition into the second 10 years: the new SBAs are neither connected to any societal framework nor to the way the GEO community would structure the observation landscape. One reason for this is that the broad GEO community proposing the Work Programme activities was not well connected to the process of developing the GEO strategy for the post 2015-period. This was different during the ad-hoc GEO period (2003-2004), when the first 10-year implementation plan was developed in a broad community-based process.
It amazes me how a great idea and concept that was discussed in the 1980s and 1990s was watered down and is now no longer recognizable. I rst heard of IGOS and IGOS-P in 1998 at the 27th International Symposium on Remote Sensing of the Environment in Tromso, Norway, where those involved in IGOS-P enthusiastically talked about the progress the world could expect because now the IGOS would provide a solid basis for planning the observation systems so urgently needed to inform humanity about the changes in the planet and because IGOS-P would ensure the implementation of the IGOS. Today, more than 30 years after the discussion started, nearly 20 years after IGOS-P was established, and more than 10 years after GEO was initiated, we are still far away from the exciting vision of the 1990s. The new strategy for the next 10 GEO years does not promise to change this very much.
We urgently need a global effort to design and implement the laboratory for “Patient Earth.” The concept of essential variables is a valuable path towards a comprehensive laboratory. Characterizing the main subsystems of the Earth’s life-support system, understanding the physiological processes in this system, including those that link the anthroposphere to the life-support system, and identifying the essential variables for these subsystems and processes would provide guidance for designing the lab.
Today, one of the most important processes in the Earth system is our economy,6 which links humanity to the Earth’s life-support system and has led to
significant degradations in the life-support system. Neither the impact on the life-support system nor the process itself is comprehensively documented so that our leaders could reduce the degradation and even start to work on restoring its health.
Humanity’s economy is comparable to the lifestyle of an individual impacting the health of the individual. For such an individual, only a change in lifestyle can lead to significant improvements of health, but in order to see the improvements, frequent lab results need to be available. There is a crucial difference between the lab results a doctor may request to see the subtle improvements or degradation in a patient’s health and the emergency room monitoring that has the task to discover any threatening development as early as possible.
With the current rapid degradation of the Earth’s life-support system, we need both, the lab results on request, and the constant monitoring to discover new—and potentially threatening—developments. In both cases, we need to know what is outside the baseline, outside the normal variability warranting an alert. In my opinion, GEO would serve humanity best if it would design the planetary laboratory providing comprehensive observations enabling both the “emergency room monitoring” and the assessment of life-style changes on the health of the Earth’s life support system.
=====
Computed X-ray powder pattern of LiPWO5 for λ = 1.5418 Å (Cu Kα), from a GGA+U-relaxed structure.
No peak broadening, texture or thermal motion is included.

Structural model:
```
LiPWO5
1.0
7.0282 -2.7288 0.0000
7.0282 2.7288 0.0000
-4.2893 0.0000 9.9819
Li P W O
4 4 4 20
direct
0.0000 0.0000 0.0000
0.0000 0.0000 0.5000
0.0000 0.5000 0.0000
0.5000 0.0000 0.5000
0.3691 0.3811 0.3110
0.3811 0.3691 0.8110
0.6189 0.6309 0.1890
0.6309 0.6189 0.6890
0.0000 0.5000 0.5000
0.0060 0.9940 0.7500
0.5000 0.0000 0.0000
0.9940 0.0060 0.2500
0.0914 0.1579 0.4234
0.1579 0.0914 0.9234
0.2052 0.6832 0.3427
0.2058 0.6723 0.8448
0.2938 0.3114 0.1606
0.3021 0.3282 0.4040
0.3114 0.2938 0.6606
0.3168 0.7948 0.1573
0.3282 0.3021 0.9040
0.3277 0.7942 0.6552
0.6723 0.2058 0.3448
0.6718 0.6979 0.0960
0.6832 0.2052 0.8427
0.6886 0.7062 0.3394
0.6979 0.6718 0.5960
0.7062 0.6886 0.8394
0.7942 0.3277 0.1552
0.7948 0.3168 0.6573
0.8421 0.9086 0.0766
0.9086 0.8421 0.5766
```

Peak list (8 most intense, 2θ = 10–80°, in order of rising 2θ)
| two_theta | d [Å] | intensity |
| --- | --- | --- |
| 17.7 | 5.024 | 100 |
| 18.5 | 4.796 | 48 |
| 21.0 | 4.236 | 32 |
| 26.4 | 3.380 | 45 |
| 26.5 | 3.359 | 57 |
| 26.9 | 3.316 | 46 |
| 37.6 | 2.394 | 41 |
| 42.5 | 2.125 | 34 |

----------

Calculated powder X-ray diffraction pattern
Compound: FePH3CO7
Radiation: Cu Kα (weighted mean of Kα1 and Kα2)
Structure: the PBE+U geometry in the Materials Project

Structure:
```
FePH3CO7
1.0
5.1132 0.0000 0.0000
-1.6531 7.5393 0.0000
-2.3964 -1.4520 7.2681
Fe P H C O
2 2 6 2 14
Direct
0.0488 0.2918 0.2594
0.9512 0.7082 0.7406
0.3532 0.7043 0.4590
0.6468 0.2957 0.5410
0.2254 0.6363 0.0658
0.2491 0.9631 0.3957
0.4332 0.6772 0.9480
0.5668 0.3228 0.0520
0.7509 0.0369 0.6043
0.7746 0.3637 0.9342
0.1206 0.0525 0.9719
0.8794 0.9475 0.0281
0.1836 0.9682 0.8469
0.2044 0.6763 0.5972
0.2323 0.6228 0.9402
0.2376 0.2145 0.0547
0.2417 0.8408 0.3340
0.3050 0.5339 0.3160
0.3187 0.2045 0.4454
0.6813 0.7955 0.5546
0.6950 0.4661 0.6840
0.7583 0.1592 0.6660
0.7624 0.7855 0.9453
0.7677 0.3772 0.0598
0.7956 0.3237 0.4028
0.8164 0.0318 0.1531
```

Main lines, in order of rising 2θ (10 to 90 degrees two-theta):
two_theta, I (rel.), (hkl)
12.2, 14, 0 0 1
15.3, 100, 0 1 -1
18.7, 59, 1 0 -1
18.9, 19, 1 0 0
24.1, 34, 0 2 0
25.2, 58, 1 -1 1
25.3, 62, 1 0 -2
29.2, 21, 0 2 1
31.7, 12, 1 1 1
32.7, 10, 1 2 -1
35.1, 16, -1 2 2
37.6, 40, 1 -2 2

----------

Record 1
Structure and simulated powder X-ray diffraction pattern of Tm2Zn3Ni4 (the PBE geometry in Alexandria; a wavelength of 1.5418 Å).

Structural model:
a b c (Å): 7.928 7.928 7.024
angles (deg): 90.00 90.00 141.30
Fractional coordinates of all 18 atoms:
1 Tm 0.107 0.893 0.914
2 Tm 0.393 0.607 0.414
3 Tm 0.607 0.393 0.586
4 Tm 0.893 0.107 0.086
5 Zn 0.000 0.000 0.500
6 Zn 0.017 0.483 0.750
7 Zn 0.483 0.017 0.250
8 Zn 0.500 0.500 0.000
9 Zn 0.517 0.983 0.750
10 Zn 0.983 0.517 0.250
11 Ni 0.168 0.832 0.515
12 Ni 0.181 0.319 0.750
13 Ni 0.319 0.181 0.250
14 Ni 0.332 0.668 0.015
=====
-- The entry goes on --
One major global effort to improve sustain- ability is the Agenda 2030 for Sustainable Development, which aims to reach 17 Sustainable Development Goals (SDGs, Figure 4). Wouldn’t is be great if the planetary lab was designed to provide what is needed to inform the planning of actions that would bring us closer to these goals and would help us to monitor the progress? Using the 17 SDGs to organize the Earth observation activities into societal benefit areas would connect GEO strongly to established societal frameworks.

The Sustainable Development Goals of the Agenda 2030 agreed upon
by the United Nations in 2015. From https:// sustainabledevel- opment.un.org/ sdgs.
1 “Spaceship Earth” is a term coined by Buckminster Fuller in his 1968 book,
Operating Manual for Spaceship Earth.
2 Plag, H.-P., 2000. Towards an Integrated Global Geodetic Observing System,
Integration of geodetic techniques into a global Earth monitoring system and its implication for Earth system sciences, edited by R. Rummel, H. Drewes, W. Bosch, & H. Hornik, vol. 120 of International Association of Geodesy Symposia, pp. 73-83, Springer, Berlin.
3 IGOS-P, 2003. The Integrated Global Observing Strategy (IGOS) Partnership Process. IGOS Process Paper (version of March 19, 2003).
4 GEO, 2005. The Global Earth Observing System of Systems (GEOSS) – 10-Year Implementation Plan. Available at http://earthobservations.org.
5 GEO, 2015. GEO 2016 Work Programme, Version V4. Available at http://
6 Plag, H.-P., 2016. Knowledge Must Translate into Action, “They had all the
Knowledge …” On the Edge. Apogeo Spatial, 31(2), 8-10, Spring 2016.